== Given ==
Diffraction record for KRb2CrF6. The PXRD pattern is theoretical, not measured: it uses a DFT-relaxed cell (PBE+U, the Materials Project) and Cu Kα (weighted mean of Kα1 and Kα2).
Kinematic intensities with the Lorentz-polarization factor, no thermal factor.

Main lines, low angle first (15° ≤ 2θ ≤ 90°):
| d [Å] | Rel. int. |
| --- | --- |
| 5.152 | 12 |
| 3.166 | 100 |
| 3.132 | 60 |
| 2.576 | 36 |
| 2.263 | 25 |
| 2.215 | 40 |
| 1.834 | 18 |
| 1.815 | 31 |
| 1.583 | 20 |
| 1.566 | 11 |

```
data_KRb2CrF6
_space_group_name_H-M_alt 'I 4/m'
_space_group_IT_number 87
_space_group_name_Hall '-I 4'
_cell_length_a 14.0087
_cell_length_b 14.0087
_cell_length_c 9.0524
_cell_angle_alpha 90.00
_cell_angle_beta 90.00
_cell_angle_gamma 90.00
loop_
_atom_site_label
_atom_site_type_symbol
_atom_site_fract_x
_atom_site_fract_y
_atom_site_fract_z
K1 K 0.0000 0.0000 0.0000
K2 K 0.0877 0.2661 0.5000
Rb1 Rb 0.0000 0.5000 0.2500
Rb2 Rb 0.1060 0.7879 0.2264
Cr1 Cr 0.0000 0.0000 0.5000
Cr2 Cr 0.0948 0.3031 0.0000
F1 F 0.0000 0.0000 0.2845
F2 F 0.0388 0.6543 0.0000
F3 F 0.0518 0.1710 0.0000
F4 F 0.0630 0.8746 0.5000
F5 F 0.0656 0.6376 0.5000
F6 F 0.0954 0.3007 0.2173
F7 F 0.2275 0.2578 0.0000
```

***

Diffraction record for KRb2CrF6. The PXRD pattern is theoretical, not measured: it uses a DFT-relaxed cell (PBE+U, the Materials Project) and Cu Kα (weighted mean of Kα1 and Kα2).
Kinematic intensities with the Lorentz-polarization factor, no thermal factor.

Main lines, low angle first (15° ≤ 2θ ≤ 90°):
| d [Å] | Rel. int. |
| --- | --- |
| 5.198 | 6 |
| 3.183 | 100 |
| 2.599 | 24 |
| 2.251 | 46 |
| 1.838 | 35 |
| 1.592 | 26 |
| 1.424 | 20 |
| 1.357 | 6 |
| 1.299 | 8 |
| 1.203 | 21 |

```
data_KRb2CrF6
_space_group_name_H-M_alt 'F m -3 m'
_space_group_IT_number 225
_space_group_name_Hall '-F 4 2 3'
_cell_length_a 9.0032
_cell_length_b 9.0032
_cell_length_c 9.0032
_cell_angle_alpha 90.00
_cell_angle_beta 90.00
_cell_angle_gamma 90.00
loop_
_atom_site_label
_atom_site_type_symbol
_atom_site_fract_x
_atom_site_fract_y
_atom_site_fract_z
K1 K 0.0000 0.0000 0.0000
Rb1 Rb 0.2500 0.2500 0.2500
Cr1 Cr 0.0000 0.0000 0.5000
F1 F 0.0000 0.0000 0.2830
```

***

Diffraction record for K2RbCrF6. The PXRD pattern is theoretical, not measured: it uses a DFT-relaxed cell (PBE+U, the Materials Project) and Cu Kα (weighted mean of Kα1 and Kα2).
Kinematic intensities with the Lorentz-polarization factor, no thermal factor.

Main lines, low angle first (15° ≤ 2θ ≤ 90°):
| d [Å] | Rel. int. |
| --- | --- |
| 4.559 | 34 |
| 3.224 | 100 |
| 2.279 | 52 |
| 2.092 | 9 |
| 2.039 | 11 |
| 1.861 | 32 |
| 1.612 | 28 |
| 1.442 | 20 |
| 1.316 | 8 |
| 1.218 | 20 |

```
data_K2RbCrF6
_space_group_name_H-M_alt 'F m -3 m'
_space_group_IT_number 225
_space_group_name_Hall '-F 4 2 3'
_cell_length_a 9.1179
_cell_length_b 9.1179
_cell_length_c 9.1179
_cell_angle_alpha 90.00
_cell_angle_beta 90.00
_cell_angle_gamma 90.00
loop_
_atom_site_label
_atom_site_type_symbol
_atom_site_fract_x
_atom_site_fract_y
_atom_site_fract_z
K1 K 0.2500 0.2500 0.2500
Rb1 Rb 0.0000 0.0000 0.0000
Cr1 Cr 0.0000 0.0000 0.5000
F1 F 0.0000 0.0000 0.2880
```

* * * * *

# MnO2
Simulated PXRD pattern, Cu Kα. Input: a DFT-relaxed cell (PBE+U, Alexandria).

Cell and atoms:
```
6
Lattice="2.912 0.000 0.000 0.000 3.867 0.000 0.000 0.000 6.178" Properties=species:S:1:pos:R:3 pbc="T T T"
Mn 0.728 0.967 0.969
Mn 2.184 2.900 5.209
O 0.728 2.900 0.474
O 0.728 2.900 4.089
O 2.184 0.967 2.089
O 2.184 0.967 5.704
```

Peak list (10 most intense, 15° ≤ 2θ ≤ 90°, in order of rising 2θ)
index, two_theta, d_spacing, intensity
0 1 1, 27.21, 3.278, 100.0
1 0 1, 34.04, 2.634, 30.7
1 1 1, 41.48, 2.177, 13.5
1 0 2, 42.67, 2.119, 60.4
0 2 0, 47.00, 1.933, 27.0
1 2 1, 59.29, 1.558, 11.4
1 1 3, 60.00, 1.542, 32.3
2 0 0, 63.95, 1.456, 9.1
1 2 2, 65.34, 1.428, 27.3
2 1 1, 70.82, 1.331, 10.0

* * * * *

# BeNbAsBr2
Calculated PXRD pattern, Cu Kα. Input: a PBE-relaxed structure.

== Wanted ==
Please restate every line above that contains the word "and".

== Solution ==
Diffraction record for KRb2CrF6. The PXRD pattern is theoretical, not measured: it uses a DFT-relaxed cell (PBE+U, the Materials Project) and Cu Kα (weighted mean of Kα1 and Kα2).
Diffraction record for KRb2CrF6. The PXRD pattern is theoretical, not measured: it uses a DFT-relaxed cell (PBE+U, the Materials Project) and Cu Kα (weighted mean of Kα1 and Kα2).
Diffraction record for K2RbCrF6. The PXRD pattern is theoretical, not measured: it uses a DFT-relaxed cell (PBE+U, the Materials Project) and Cu Kα (weighted mean of Kα1 and Kα2).
Cell and atoms: